The Ministry of Economic Affairs and Communications contracted us to analyse Estonia’s administrative procedures and make proposals to streamline the relevant processes. The analysis, titled “Streamlining Investment Procedures (for New Businesses and Establishments)”, examines the possibilities of creating a “green corridor” to encourage high value-added investment by cutting red tape and shortening the time required for project approvals.

Attached: data records:
Record 1
Below is NdNp2S3 after structural relaxation, with properties calculated at the PBE level.

Cell: 8.861 8.861 8.861 Å, 154.10 154.10 36.96°
Site moments in Bohr magnetons follow the coordinates.
Element x y z (fractional)
1 S 0.500 0.500 0.000  -0.03
2 S 0.830 0.830 0.000  -0.09
3 S 0.170 0.170 0.000  -0.09
4 Nd 0.000 0.000 0.000  0.04
5 Np 0.334 0.334 0.000  4.00
6 Np 0.666 0.666 0.000  4.00

Results
Uncorrected energy in eV per atom: -8.745

---

Record 2
Below is LiEr3Hg4 after structural relaxation, with properties calculated at the PBE level.

Cell: 5.112 5.112 8.942 Å, 73.39 73.39 60.00°
Element x y z (fractional)
1 Hg 0.374 0.374 0.877
2 Hg 0.123 0.123 0.631
3 Er 0.254 0.254 0.238
4 Hg 0.626 0.626 0.123
5 Er 0.746 0.746 0.762
6 Hg 0.877 0.877 0.369
7 Li 0.000 0.000 0.000
8 Er 0.500 0.500 0.500

Results
Uncorrected energy in eV per atom: -2.556
Formation enthalpy at 0 K in meV/atom: -455

---

Record 3
Below is BaP2AuI after structural relaxation, with properties calculated at the PBE level.

Cell: 4.854 6.887 4.854 Å, 90.00 90.00 90.00°
Site moments in Bohr magnetons follow the coordinates.
Element x y z (fractional)
1 P 0.500 0.000 0.000  0.26
2 P 0.000 0.000 0.500  0.13
3 I 0.500 0.500 0.500  0.03
4 Au 0.000 0.000 0.000  0.08
5 Ba 0.000 0.500 0.000  0.00

Results
Uncorrected energy in eV per atom: -3.609

---

Record 4
Below is Ba3GaSb3 after structural relaxation, with properties calculated at the PBE level.

Cell: 7.250 11.320 14.253 Å, 90.00 90.00 108.68°
Element x y z (fractional)
1 Ba 0.626 0.652 0.628
2 Sb 0.045 0.680 0.121
3 Sb 0.201 0.000 0.897
4 Sb 0.955 0.320 0.879
5 Sb 0.455 0.320 0.621
6 Sb 0.701 0.000 0.603
7 Ba 0.192 0.000 0.644
8 Sb 0.865 0.320 0.379
9 Ba 0.808 0.000 0.356
10 Ba 0.027 0.652 0.372
11 Ga 0.913 0.827 0.000
12 Ga 0.087 0.173 0.000
13 Ba 0.874 0.348 0.128
14 Ba 0.692 0.000 0.856
15 Ba 0.308 0.000 0.144
16 Sb 0.135 0.680 0.621
17 Sb 0.635 0.680 0.879
18 Ba 0.374 0.348 0.372
19 Ba 0.973 0.348 0.628
20 Sb 0.799 0.000 0.103
21 Sb 0.299 0.000 0.397
22 Ga 0.587 0.173 0.500
23 Ba 0.126 0.652 0.872
24 Ba 0.473 0.348 0.872
25 Sb 0.545 0.680 0.379
26 Sb 0.365 0.320 0.121
27 Ba 0.527 0.652 0.128
28 Ga 0.413 0.827 0.500

Results
Uncorrected energy in eV per atom: -3.929

---

Record 5
Below is AcPu2Pb2 after structural relaxation, with properties calculated at the PBE level.

Cell: 5.135 5.135 14.231 Å, 90.00 90.00 120.00°
Site moments in Bohr magnetons follow the coordinates.
Element x y z (fractional)
1 Pb 0.000 0.000 0.880  -0.07
2 Pb 0.000 0.000 0.120  -0.07
3 Ac 0.667 0.333 0.750  0.05
4 Pu 0.333 0.667 0.979  5.73
5 Pb 0.000 0.000 0.380  -0.07
6 Pu 0.333 0.667 0.521  5.73
7 Ac 0.333 0.667 0.250  0.05
8 Pu 0.667 0.333 0.021  5.73
9 Pu 0.667 0.333 0.479  5.73
10 Pb 0.000 0.000 0.620  -0.07

Results
Uncorrected energy in eV per atom: -8.249
Formation enthalpy at 0 K in meV/atom: -211

---

Record 6
Below is RbNb2S after structural relaxation, with properties calculated at the PBE level.
The data records stop here:

Large investments are moving away from Estonia

The analysis shows that Estonia’s administrative procedures are unreasonably time-consuming, causing investments that are vital for Estonia to be delayed or skipped altogether and made in other countries. The experience of other countries shows that Estonia could considerably expedite administrative procedures, but this requires, above all, a significant change in administrative practices and the removal of certain regulatory obstacles.

Estonian administrative procedures at least four years longer than in Finland and Sweden

Sorainen’s real estate and construction law experts interviewed Estonian and Finnish officials, developers and professionals and performed case studies in Estonia, Finland and, to a limited extent, Sweden. According to the findings, major investments in both Finland and Sweden have been implemented with administrative procedures taking less than a year. Meanwhile, Finland is still not satisfied with the pace of the process and will continue to improve efficiency. In Estonia, strategic environmental impact assessments for planning and environmental impact assessments for authorisations are known to take 2-3 years each and cannot be carried out simultaneously.

The main problem is the overall length of the procedures, not individual permit proceedings

To achieve favourable investment decisions, Estonia needs to ensure that administrative procedures are predictable and take place within a reasonable timeframe.

== Unrelated to this piece: records of crystals ==
+++
This record from Alexandria via LeMat-Bulk describes a geometry-optimized Ba3Sr4Ca structure. The functional is PBE.

Values from the calculation:
The density of states at the Fermi level is 1.35 states/eV per atom. The space-group type is C2/m, No. 12. Its spin magnetization is 0.000 μB per atom. As for the density: 2.982 Mg/m³. The calculation puts the formation energy at 0.013 eV/atom.

Lattice parameters (Å, degrees): 14.2280 14.2280 6.8250 103.71 103.71 19.47
With the nearest neighbours (Å) after each atom.
Atoms (fractional coordinates):
Ba  0.0000  0.0000  0.0000  4 Ca 4.18, 4 Sr 4.22
Ba  0.1219  0.1219  0.6186  2 Ca 4.10, 6 Sr 4.18-4.23
Ba  0.8781  0.8781  0.3814  2 Ca 4.10, 6 Sr 4.18-4.23
Sr  0.2502  0.2502  0.2502  6 Sr 4.12-4.18, 2 Ba 4.23
Sr  0.3728  0.3728  0.8761  2 Sr 4.12, 6 Ba 4.18-4.22
+++

“From an investor’s vantage point, it is important to look at the different planning and permitting procedures as a whole. Comprehensive, unambiguous, predictable and swift procedures make engagement more meaningful and give the public greater confidence as well. Based on Finland’s experience, we believe that more effective cooperation between the authorities, developers and communities can do more to speed up the procedures than legislative change,” notes partner Paul Künnap, the head of Sorainen’s real estate and construction law team.

The analysis highlights the key objectives the state would need to achieve to attract investment:

  • Procedures should not take more than one year
  • The public should be better engaged
  • Environmental impacts should be appropriately considered
  • The state should improve its trustworthiness

== Crystal structures from another source follow ==
Compound: TeSIN2
Source: Alexandria
Functional: PBEsol
Structure: optimized geometry

abc: 3.9590 3.9590 5.8249
angles: 90.00 90.00 90.00
With the nearest neighbours (Å) after each atom.
Space group P4/mmm (No. 123)
Unique sites:
Te: 0.0000 0.0000 0.0000 (multiplicity 1)  4 S 2.80
S: 0.5000 0.5000 0.0000 (multiplicity 1)  4 Te 2.80, 2 I 2.91
I: 0.5000 0.5000 0.5000 (multiplicity 1)  4 N 1.98
N: 0.0000 0.5000 0.5000 (multiplicity 2)  2 I 1.98

The value obtained for the raw formation energy is 1630 meV per atom. The total moment is 0.00 Bohr magnetons per cell. As for the calculated total energy: -0.2732 Ry/atom.

=====

Compound: K3DyCl6
Source: Alexandria
Functional: PBEsol
Structure: optimized geometry

abc: 10.9946 10.9946 10.9946
angles: 90.00 90.00 90.00
With the nearest neighbours (Å) after each atom.
Space group Fm-3m (No. 225)
Unique sites:
K: 0.0000 0.0000 0.0000 (multiplicity 4)  6 Cl 2.90
K: 0.2500 0.2500 0.2500 (multiplicity 8)  12 Cl 3.89
Dy: 0.0000 0.0000 0.5000 (multiplicity 4)  6 Cl 2.59
Cl: 0.0000 0.0000 0.2642 (multiplicity 24)  1 Dy 2.59

The value obtained for the raw formation energy is -2037 meV per atom. The total moment is 0.00 Bohr magnetons per cell. As for the calculated total energy: -0.2999 Ry/atom.

=====

Compound: Ac2ZnGe
Source: Alexandria
Functional: PBEsol
Structure: optimized geometry

abc: 7.6585 7.6585 7.6585
angles: 90.00 90.00 90.00
With the nearest neighbours (Å) after each atom.
Space group Fm-3m (No. 225)
Unique sites:
Ac: 0.2500 0.2500 0.2500 (multiplicity 8)  4 Ge 3.32, 4 Zn 3.32
Zn: 0.0000 0.0000 0.0000 (multiplicity 4)  8 Ac 3.32
Ge: 0.0000 0.0000 0.5000 (multiplicity 4)  8 Ac 3.32

The total moment is 0.00 Bohr magnetons per cell. The value obtained for the energy of formation from the pure elements is -417 meV/atom. As for the calculated total energy: -0.3160 Ry/atom.

=====

Compound: Al2PtPb
Source: Alexandria
Functional: PBEsol
Structure: optimized geometry

abc: 3.2420 3.3520 7.1121
angles: 90.00 90.00 90.00
With the nearest neighbours (Å) after each atom.
Space group Pmm2 (No. 25)
Unique sites:
Al: 0.0000 0.0000 0.0000 (multiplicity 1)  1 Pt 2.63, 4 Al 2.84
Al: 0.5000 0.5000 0.2282 (multiplicity 1)  4 Pt 2.54, 4 Al 2.84
Pt: 0.0000 0.0000 0.3702 (multiplicity 1)  5 Al 2.54-2.63
Pb: 0.5000 0.5000 0.6825 (multiplicity 1)  4 Pt 3.22, 5 Al 3.23-3.25, 4 Pb 3.24-3.35

The total moment is 0.00 Bohr magnetons per cell. The value obtained for the energy of formation from the pure elements is -223 meV/atom. As for the calculated total energy: -0.3681 Ry/atom.

=====

Compound: HfZn2Pt
Source: Alexandria
Functional: PBEsol
Structure: optimized geometry

abc: 6.2200 6.2200 6.2200
angles: 90.00 90.00 90.00
With the nearest neighbours (Å) after each atom.
Space group Fm-3m (No. 225)
Unique sites:
Hf: 0.0000 0.0000 0.0000 (multiplicity 4)  8 Zn 2.69
Zn: 0.2500 0.2500 0.2500 (multiplicity 8)  4 Hf 2.69, 4 Pt 2.69
Pt: 0.0000 0.0000 0.5000 (multiplicity 4)  8 Zn 2.69

Our services and client team

The analysis was prepared by partner Paul Künnap, the head of our real estate and construction law team, and senior associates Britta Retel and Kaspar Endrikson as well as associates Sandra Mikli, Anu Liinsoo and Andra Grünberg.